Search the listing below for the word "Mulliken" and retype each line that has it, please.

Entry 1:
The following is a quantum chemistry calculation of 2 unconnected molecules or ions with the total composition C5H10, from the Open Molecules 2025 dataset.

Last column: Mulliken charge in e.
Positions of all 15 atoms, in Å:
C (0.56613, -1.12329, -0.01443)  -0.53
C (0.08775, 0.83226, -1.68930)  -0.70
C (0.33243, 0.29786, -0.50043)  0.23
C (0.44965, 0.86766, 0.90357)  -0.58
C (0.64278, -0.57751, 1.43766)  -0.41
H (-2.43160, -0.04121, -0.80734)  -0.23
H (-0.06826, 1.90221, -1.80795)  0.25
H (1.49257, -1.57873, -0.38197)  0.25
H (-3.14631, -0.21472, -0.68867)  0.23
H (-0.16445, -0.92459, 2.08831)  0.25
H (0.03575, 0.21816, -2.58572)  0.26
H (-0.25958, -1.81634, -0.21187)  0.23
H (1.31184, 1.52779, 1.05032)  0.26
H (1.59671, -0.75505, 1.94196)  0.25
H (-0.44541, 1.38549, 1.26585)  0.23

As for the structure (SMILES): C=C1CCC1.[H][H]. Its LUMO energy is 0.048 Ha. As for the molar mass: 70.13 g/mol.

=====

Entry 2:
The following is a quantum chemistry calculation of a molecular structure, C8H22AgN2O10S2 at a distorted geometry, from the Open Molecules 2025 dataset.

Last column: Mulliken charge in e.
Positions of all 45 atoms, in Å:
Ag (-19.50083, -15.24138, -6.15730)  0.79
S (-19.35424, -11.15651, -7.76046)  1.13
S (-21.57122, -14.36761, -2.54413)  1.28
O (-18.85467, -10.71675, -9.03861)  -0.72
O (-19.93647, -10.04198, -6.98694)  -0.76
O (-22.10286, -14.76045, -3.81214)  -0.54
O (-21.80507, -15.38723, -1.52445)  -0.69
O (-20.38268, -12.18075, -7.87216)  -0.74
O (-20.16050, -14.19846, -2.83073)  -0.52
O (-16.28639, -16.98659, -6.28219)  -0.27
O (-18.38406, -11.89464, -6.94491)  -0.74
O (-18.93761, -15.41913, -13.53262)  -0.32
O (-22.15080, -13.03365, -2.15404)  -0.53
N (-18.54918, -18.38906, -5.02550)  -0.55
N (-20.18972, -16.86232, -10.27473)  -0.57
C (-17.11178, -18.59536, -4.70590)  0.36
C (-19.21644, -14.31674, -14.35952)  -0.77
C (-16.21026, -18.38608, -5.91661)  -0.70
C (-19.68043, -15.45004, -12.24206)  -0.81
C (-15.58097, -16.52159, -7.40625)  -0.72
C (-20.18896, -18.03490, -12.41868)  -1.44
C (-19.57718, -16.90237, -11.61863)  0.38
C (-17.00981, -19.92631, -3.93907)  -1.52
H (-19.09332, -18.43614, -4.17591)  0.24
H (-16.05869, -15.61090, -7.76754)  0.29
H (-20.22049, -17.85642, -10.09891)  0.28
H (-14.52302, -16.32173, -7.23626)  0.24
H (-16.84860, -17.75673, -4.06128)  0.28
H (-20.16154, -14.43532, -14.88945)  0.28
H (-15.63152, -17.30556, -8.16186)  0.29
H (-19.33881, -14.65081, -11.58432)  0.52
H (-21.14137, -16.57178, -10.44809)  0.28
H (-20.02325, -18.99137, -11.92291)  0.40
H (-15.19732, -18.59582, -5.57302)  0.30
H (-18.80167, -19.29270, -5.39936)  0.25
H (-18.33627, -14.28508, -15.00170)  0.26
H (-19.80665, -18.09677, -13.43756)  0.35
H (-19.12317, -13.34153, -13.88165)  0.34
H (-16.01951, -20.00108, -3.48985)  0.36
H (-16.53904, -18.99992, -6.75519)  0.36
H (-17.06388, -20.74958, -4.65140)  0.40
H (-20.71328, -15.16227, -12.43831)  0.33
H (-18.51019, -17.12453, -11.60239)  0.18
H (-17.74215, -20.06351, -3.14349)  0.41
H (-21.27326, -17.99817, -12.52373)  0.33

The total charge is -2. Its multiplicity is 2. Its LUMO energy (spin up / spin down) is 0.125 / 0.106 Ha. As for the molar mass: 478.27 g/mol. The expectation value of S² is 0.76.

=====

Entry 3:
The following is a quantum chemistry calculation of a single C6H9F molecule at a distorted geometry, from the Open Molecules 2025 dataset.

Last column: Mulliken charge in e.
Positions of all 16 atoms, in Å:
F (0.87822, -1.14368, 1.20537)  -0.33
C (-0.72324, 0.97913, 0.75479)  -0.68
C (-1.47198, -0.22772, 0.11749)  -0.53
C (1.97745, 0.32034, -0.19453)  -0.55
C (0.79043, -0.57104, -0.05005)  0.74
C (0.60512, 0.90059, -0.05477)  -0.19
C (-0.44282, -1.07425, -0.69542)  -0.89
H (-0.63615, -2.13666, -0.59058)  0.33
H (2.34250, 0.50705, -1.18214)  0.24
H (-0.47817, 0.80870, 1.86322)  0.26
H (-1.20403, 1.93475, 0.59604)  0.31
H (-2.37987, 0.02267, -0.46413)  0.34
H (-0.41207, -0.89941, -1.76649)  0.27
H (0.34812, 1.28518, -1.04448)  0.14

Last column: Mulliken charge in e.
Last column: Mulliken charge in e.
Last column: Mulliken charge in e.